(Assignment)
Filter the calculation results below: keep the lines with the word "s2".
(Data)
........
# 1
9
Properties=species:S:1:pos:R:3:forces:R:3 method="wB97M-V/def2-TZVPD" homo_ha="-0.296 / -0.296" spin_multiplicity=1 de_lowest_kcal_mol=100.3 gap_ev="7.17 / 7.17"
C -2.291383 0.187923 -0.207386 -0.7 -2.1 -1.2
C 1.781507 0.112083 0.624781 0.9 -1.1 0.4
N -2.746260 -0.622957 -0.935236 -0.4 -0.1 -0.8
N 0.818949 0.677361 -0.210448 -2.9 1.9 -1.7
S -0.677152 1.063768 0.260499 3.0 1.3 0.6
H 2.196460 -0.716310 0.079295 0.7 -0.5 -0.4
H 2.683778 0.809794 0.784556 -1.7 -0.8 0.4
H 1.249214 -0.406185 1.419476 0.7 0.5 1.3
H -3.015117 -1.105480 -1.815538 0.5 0.9 1.4


# 2
28
Properties=species:S:1:pos:R:3:forces:R:3 method="wB97M-V/def2-TZVPD" total_charge=+1 homo_ha="-0.423 / -0.423" spin_multiplicity=1 gap_ev="7.40 / 7.40"
C 2.196607 0.016215 1.624705 -0.6 -1.9 -1.2
C 1.918595 1.104742 0.592726 -0.3 3.2 0.7
O 1.072036 -0.106486 -1.153206 1.5 -1.4 -2.1
C 0.796502 0.402598 -2.432206 0.0 0.3 -0.5
C -0.556248 -0.079576 -2.929762 0.2 -0.1 -1.1
O -1.483329 0.068351 -1.848438 -1.5 1.0 -3.8
C -2.847865 -0.158186 -2.169166 -0.7 -0.1 -0.5
H 2.472362 -0.929141 1.126286 0.1 0.1 0.1
H 3.078579 0.308887 2.210932 -0.4 0.1 -0.3
H 2.911956 1.528313 0.356101 0.2 1.5 2.0
H 1.500892 1.741624 -0.193658 -0.2 -2.7 -1.6
H 1.572845 0.096919 -3.153300 -0.2 0.1 0.3
H 0.778431 1.507918 -2.396923 0.1 -0.2 -0.1
H -0.523173 -1.139040 -3.229372 0.0 0.2 0.1
H -0.902136 0.520912 -3.783700 0.1 -0.1 0.2
H -3.455403 0.161333 -1.315612 0.2 -0.1 -0.2
H -3.111677 0.431632 -3.057139 0.0 -0.1 0.3
H -3.026402 -1.222603 -2.377286 0.1 0.2 0.1
C -1.198984 -0.963310 2.855752 -0.2 -0.1 0.8
O -0.120338 -0.686447 1.963787 1.7 -1.1 4.5
C 1.092806 -0.281454 2.617564 0.1 0.2 0.9
H -2.096167 -1.207706 2.276899 0.3 0.0 0.0
H -0.917608 -1.812168 3.492721 -0.2 0.2 -0.2
H -1.412852 -0.084476 3.479302 0.1 -0.2 -0.2
H 1.374013 -1.102227 3.291740 0.2 0.3 -0.1
H 0.868623 0.623264 3.204830 0.0 -0.2 -0.1
H 0.561970 1.515360 0.957578 2.1 1.1 1.5
Pb -0.544036 -0.255249 -0.011156 -2.4 0.0 0.5


# 3
18
Properties=species:S:1:pos:R:3:forces:R:3 method="wB97M-V/def2-TZVPD" total_charge=-1 homo_ha="0.014 / -0.225" s2=0.750 spin_multiplicity=2 de_lowest_kcal_mol=23.9 gap_ev="2.88 / 9.31"
S -1.449798 1.657187 -0.555493 -0.1 -0.6 1.8
H -0.236665 1.493547 0.144901 -0.9 0.4 -1.2
H -1.106550 2.140572 -1.730292 0.9 0.2 -0.6
H -0.163398 0.007750 1.943613 -3.0 -0.5 1.9
H -1.416609 -0.801419 2.396519 -2.0 -3.8 -1.1
O -1.010253 -0.031358 2.600394 4.9 4.0 -1.1
H -1.672487 -1.475352 -2.032928 0.6 0.7 -0.4
H -2.787058 -1.482643 -0.990052 0.7 -0.4 -0.5
O -2.203295 -2.070311 -1.516561 -1.2 -0.2 1.0
H 0.553797 1.277270 2.728969 1.4 -0.1 -0.2
H 1.986621 1.339068 1.855037 0.3 -1.1 0.4
O 1.137819 1.695330 2.069443 -1.6 1.6 0.0
H 1.067393 -1.113593 -2.841694 -0.1 -1.6 -2.5
H 0.722090 0.402272 -2.534345 -0.1 -0.2 -0.6
O 1.045061 -0.452064 -2.206066 0.2 1.6 3.1
H 1.208148 -1.037639 -0.236100 0.2 0.3 -0.3
H 2.649280 -0.703698 0.310533 -2.5 -0.4 0.4
O 1.675911 -0.844911 0.594119 2.2 0.1 -0.2


# 4
38
Properties=species:S:1:pos:R:3:forces:R:3 method="wB97M-V/def2-TZVPD" total_charge=+1 homo_ha=-0.465 spin_multiplicity=1 de_lowest_kcal_mol=27.7 gap_ev=4.92
Al 0.970616 0.783794 2.084406 -0.4 -2.8 -1.1
O 3.777350 0.365813 2.598674 -1.8 0.4 -0.4
H 4.251410 0.227232 3.434208 -0.4 0.2 0.2
O -1.271648 -0.239888 3.416586 1.5 0.6 -1.0
H -1.439524 -0.120243 4.362510 0.5 0.1 0.0
C -2.726304 1.599617 0.904849 -0.6 0.6 1.7
O -1.496945 1.515032 0.822136 1.0 0.2 -0.8
N -3.546684 2.416748 0.181445 1.5 -0.9 0.0
N -3.374967 0.982533 1.903396 -0.3 -0.7 0.7
H -4.478029 2.463194 0.544132 -0.3 0.6 -0.8
H -3.142133 2.848752 -0.629715 -0.7 0.3 0.0
H -4.369459 1.010516 2.037102 0.0 0.1 -0.2
H -2.812657 0.478799 2.583555 0.2 0.1 -0.1
C -1.328381 -1.758298 0.194395 -0.3 -0.9 0.5
O -0.229015 -1.214665 0.344749 0.6 0.4 0.3
N -2.263625 -1.854899 1.148682 0.3 0.7 1.0
N -1.667579 -2.446023 -0.925142 0.7 0.4 -0.1
H -1.983323 -1.511693 2.061088 -0.2 0.1 0.1
H -3.092183 -2.409964 1.050738 0.1 -0.1 0.0
H -0.949772 -2.467961 -1.629518 -0.6 0.0 -0.4
........
(Solution)
Properties=species:S:1:pos:R:3:forces:R:3 method="wB97M-V/def2-TZVPD" total_charge=-1 homo_ha="0.014 / -0.225" s2=0.750 spin_multiplicity=2 de_lowest_kcal_mol=23.9 gap_ev="2.88 / 9.31"